Take Steps Now to Keep Mice Out This Fall
By Chris Williams on August 21, 2015.

We’re rapidly approaching the time of year when we start to get inundated with mouse calls. Why? You would think mice would be more active in the summer months than in the fall. They are, but they’re more active outside. When the temperature starts to drop and the days shorten, mice are driven to look for winter shelter. Your nice warm house is looking pretty good to them about now.
Your House Has No Barriers to Mice
The good news for the mouse is that it’s extremely easy to get inside the average home. There are plenty of mouse-size openings near ground level and also near the roofline. Their small body size allows a young mouse to squeeze through a slot-like opening that is little more than ¼-inch high. If an opening is too small, a mouse will gnaw the edges to make it just large enough. A typical entrance point is around pipes. Mice will chew a small opening at any edge that opens into a void, or at the corner of a door so they can squeeze through when the door is closed. You can see why caulking openings is important. So is making sure that vents are screened, that doors have thresholds and weather-stripping, and that soffits are repaired.
Garage doors might be the number one entry point for mice. Very few older garage doors still have a tight seal. There are usually gaps in the bottom corners of the door and rubber thresholds wear and tear, and are easy to chew through. Once inside a garage, mice can access any part of your home by following lines or traveling in wall voids.
Mice can get into attics from the exterior by climbing up outside walls or by walking tree branches, cables, or lines that enter the attic and then squeezing into the opening where the lines enter the house. Once near the roofline, mice can usually find lots of small openings that will allow them access to the attic or roof void. Mice can also get into attics once they are inside your home or garage. They simply travel along electrical lines or pipe chases inside wall voids, then up through the ceiling, or they enter through light fixtures or vent fans. Once inside, mice can move from ceiling voids into wall voids, or vice versa.
Let Us Mouse-Proof Your Home to Keep Mice Out
The way to stop mice from entering your home is to take measures that we call exclusion or “mouse-proofing.” This simply means closing holes, sealing gaps, tightening doors, screening vents – basically eliminating all the potential mouse entry points that you can find. The good news is that doing that keeps many insect pests out, too. At Colonial Pest, one of our specialties is pest exclusion. Our trained technicians know how to find and seal all those little openings that let mice inside. We use quality, warrantied materials to provide a permanent pest solution…and our work is guaranteed. Ask us about our pest exclusion program now, before the mice move in!
For more on mouse-proofing your home, check out these informational blogs:
- How Do Mice Get Into Houses?
- Why Are There Mice in My Attic?
- Mouse-proofing Your Home – Advice From the Pros
- Pest-proofing Doors to Keep Pests Out
- Maintain Your Garage Door to Keep Mice Out
- Using Caulks to Keep Pests Out
## The piece is interrupted by crystal structures
********
A plane-wave DFT calculation with PBE-GGA was carried out for a geometry-optimized LaPr12Ho7 structure.

Structure (extended XYZ):
```
20
Lattice="8.577 4.952 2.763 -8.577 4.952 2.763 0.000 -9.904 2.763" Properties=species:S:1:pos:R:3 pbc="T T T"
La 0.000 0.000 0.000
Pr -2.636 -1.522 2.103
Pr -2.451 -4.246 4.144
Pr -4.903 0.000 4.144
Pr 2.636 -1.522 2.103
Pr 0.000 3.044 2.103
Pr 2.451 -4.246 4.144
Pr -2.451 4.246 4.144
Pr 0.000 -3.044 6.186
Pr -2.636 1.522 6.186
Pr 4.903 0.000 4.144
Pr 2.451 4.246 4.144
Pr 2.636 1.522 6.186
Ho 0.000 -3.384 1.427
Ho -2.931 1.692 1.427
Ho 2.931 1.692 1.427
Ho 0.000 0.000 4.144
Ho -2.931 -1.692 6.861
Ho 2.931 -1.692 6.861
Ho 0.000 3.384 6.861
```

SG   No. 166
Polymorph energy (0 for the lowest one)   0.0 meV per atom

A plane-wave DFT calculation with PBE-GGA was carried out for a geometry-optimized LaPr6Ho structure.

Structure (extended XYZ):
```
8
Lattice="5.224 0.000 0.000 0.000 5.224 0.000 0.000 0.000 10.467" Properties=species:S:1:pos:R:3 pbc="T T T"
La 0.000 0.000 0.000
Pr 0.000 2.612 2.660
Pr 0.000 2.612 7.807
Pr 2.612 0.000 2.660
Pr 2.612 0.000 7.807
Pr 2.612 2.612 0.000
Pr 2.612 2.612 5.234
Ho 0.000 0.000 5.234
```

SG   No. 123

A plane-wave DFT calculation with PBE-GGA was carried out for a geometry-optimized La2Pr9Ho structure.

Structure (extended XYZ):
```
12
Lattice="5.238 0.000 0.000 0.000 5.238 0.000 0.000 0.000 15.719" Properties=species:S:1:pos:R:3 pbc="T T T"
La 0.000 0.000 2.640
La 0.000 0.000 13.080
Pr 0.000 2.619 0.000
Pr 0.000 2.619 5.289
Pr 0.000 2.619 10.430
Pr 2.619 0.000 0.000
Pr 2.619 0.000 5.289
Pr 2.619 0.000 10.430
Pr 2.619 2.619 2.652
Pr 2.619 2.619 7.860
Pr 2.619 2.619 13.067
Ho 0.000 0.000 7.860
```

SG   No. 123

A plane-wave DFT calculation with PBE-GGA was carried out for a geometry-optimized LaPr7Ho3 structure.

Structure (extended XYZ):
```
11
Lattice="5.959 -5.154 0.000 5.959 5.154 0.000 -0.684 0.000 6.476" Properties=species:S:1:pos:R:3 pbc="T T T"
La 0.000 0.000 0.000
Pr -0.342 0.000 3.238
Pr 2.498 1.812 4.918
Pr 2.975 0.000 1.856
Pr 2.498 -1.812 4.918
Pr 8.737 1.812 1.558
Pr 8.259 0.000 4.620
Pr 8.737 -1.812 1.558
Ho 5.617 1.730 3.238
Ho 5.959 0.000 0.000
Ho 5.617 -1.730 3.238
```

SG   No. 12
Polymorph energy (0 for the lowest one)   23.8 meV per atom

A plane-wave DFT calculation with PBE-GGA was carried out for a geometry-optimized La4Pr3Ho2 structure.

Structure (extended XYZ):
```
9
Lattice="7.823 -2.621 0.000 7.823 2.621 0.000 -2.593 0.000 7.779" Properties=species:S:1:pos:R:3 pbc="T T T"
La 0.007 0.000 2.561
La 2.596 0.000 5.214
La 10.456 0.000 2.566
La 13.045 0.000 5.218
Pr 5.206 0.000 2.567
Pr 7.823 0.000 0.000
Pr 7.846 0.000 5.212
Ho 0.039 0.000 7.774
Ho 13.013 0.000 0.005
```

SG   No. 12
Polymorph energy (0 for the lowest one)   0.0 meV per atom

A plane-wave DFT calculation with PBE-GGA was carried out for a geometry-optimized La9PrHo2 structure.

Structure (extended XYZ):
```
12
********
Photo Credit: USDA Forest Service – North Central Research Station Archive, USDA Forest Service, Bugwood.org